
Preventing Hearing Loss in the Music Community

Face the Music!

Volume C, No. 5May, 2000

Ellen Kelly, M.S. CCC-A, Clinical Audiologist

Music professionals rely on good hearing to monitor properly while performing. When hearing loss occurs, critical listening skills may suffer as a result of diminished pitch, loudness and temporal perception. Regardless of this, many musicians accept potential hearing loss as a part of their job, essentially sacrificing their hearing in order to perform in the music arts profession. Part of the reason for this acceptance is the lack of information about the causes and consequences of “music-induced hearing loss,” concerns about job security, and fears that hearing protection will hinder their capacity to work or perform.

In recent years a growing number of music professionals have taken initiatives to find out more about music-induced hearing loss and to protect their hearing. Research in this specialized area has led to some interesting and surprising findings – such as the fact that classical musicians are more likely to develop a hearing loss from their work than are rock musicians. This has been attributed to more rigorous practice and work schedules, the higher spectral energy in classical music, and repetitive work and practice sessions. There also seems to be a relationship between the level of stress or annoyance associated with sound in the work environment and changes in hearing associated with it.

In most industries where noise levels are high, standards such as those established by the Occupational Safety and Health Administration (OSHA) are applied in order to protect workers’ hearing. These regulations are based on years of research and debate on how sound affects hearing over time. One question scientists have tried to answer is “how much is too much?” There is no simple answer, due to differences in the many noise sources, the complexities of experimental design in studying noise effects, and individual and cultural differences. As a result, no universal formula exists to define what constitutes risk to everyone.

Identifying those at risk in the music community is even more difficult, due to the different forms of music, ever-changing exposures associated with work schedules, locations, performance and rehearsal schedules, etc. Between all of these factors, the best one could predict for musicians would be to say, “If you are exposed to an average workday of 90 dB or more of music, some of you may develop changes in hearing from your work; at 85dB all day long, less of you likely will; and at 80 dB, almost none of you will.” Considering the necessity of good hearing for your careers, music professionals must decide whether this is what you want for your future. If the answer is no, then what can be done?

The first step is to look beyond regulations developed with the manufacturing industry in mind and consider the unique characteristics and needs of the music worker:

  • For example, OSHA’s regulations were developed to protect workers from “material hearing loss.” Changes of up to 25 dB in hearing are acceptable to OSHA – but would this be acceptable to music workers?
  • Unlike factory workers, music workers are exposed to varying and often unpredictable levels of sound. How can we identify individuals at risk?
  • In addition, musicians by nature are often very tuned in to perceptual issues and may experience greater stress than non-musicians would from conditions such as tinnitus (ringing) and hyperacusis (sensitivity to sound). Although existing regulations do not consider these issues, should musicians address them?

The answer to all of these questions is that the music community must identify its unique and specific needs and then develop a mechanism to address them.

One important component of this process is to monitor for changes in hearing. Every musician should have a hearing test once a year. You should recognize that your hearing will decrease naturally as you grow older. However, if your hearing test indicates the possibility of noise-induced hearing loss, strategies to limit the damage can be implemented. The testing session also provides an opportunity to discuss your concerns about hearing issues, both on and off the job, and any secondary problems that may be bothersome, such as tinnitus. It is important that you keep copies of hearing tests for comparison each year, so that subtle changes can be detected. It is not adequate to walk away from the examination with general impressions.

When concerns of excessive sound levels are identified, exposures can be reduced through sound engineering (the way the sound is mixed and delivered to monitors and the PA), environmental modifications, personal hearing protection or in-ear monitors. The key is to use the most appropriate application correctly for your work.

Earplugs and the various commercially available in-ear monitors each have unique response characteristics. This can be discussed with the hearing specialist. Even the acoustic characteristics of Musicians Earplugsä , the well known flat response earplugs developed by Etymotic Research, can be affected by the ear canal size, the depth of the impression taken of the ear, and the fit of the plug. The successful selection and fitting of hearing protection devices requires more than a generic approach.

Remember also that more is not always better, in terms of hearing protection. It is more important to use something consistently and lower your exposures realistically than to try to achieve maximum protection with something you can barely tolerate.

Unlike most other workers in high levels of sound, the music worker of today must assume responsibility for his or her own hearing health. Musicians must accept that they need to protect themselves now in order to enjoy their hearing in the future. If this is difficult, remind yourself that your livelihood depends on your hearing. Treat your ears as you would your most treasured musical instrument.

# Next to the text, the page also holds calculated crystals
=====
Material: TlCr2FeO10
Method: DFT, PBE with a Hubbard U
State: optimized geometry

Lattice parameters (Å, degrees): 6.0503 6.0503 6.9345 108.63 108.63 56.31
With the nearest neighbours (Å) after each atom.
Sites, in units of the cell vectors:
Tl (0.0000, 0.0000, 0.0000)  6 O 2.33-2.34
Cr (0.3738, 0.3738, 0.1506)  4 O 1.59-1.74
Cr (0.6262, 0.6262, 0.8494)  4 O 1.59-1.74
Fe (0.0000, 0.0000, 0.5000)  2 O 1.67
O (0.1626, 0.1626, 0.5321)  1 Fe 1.67
O (0.2100, 0.7191, 0.2435)  1 Cr 1.74
O (0.2310, 0.2310, 0.1936)  1 Cr 1.66
O (0.2809, 0.7900, 0.7565)  1 Cr 1.74
O (0.3396, 0.3396, 0.9073)  1 Cr 1.59
O (0.6604, 0.6604, 0.0927)  1 Cr 1.59
O (0.7191, 0.2100, 0.2435)  1 Cr 1.74
O (0.7690, 0.7690, 0.8064)  1 Cr 1.66
O (0.7900, 0.2809, 0.7565)  1 Cr 1.74
O (0.8374, 0.8374, 0.4679)  1 Fe 1.67

Values from the calculation:
The value obtained for the calculated total energy is -5.87 eV per atom. The mass density comes out at 4422 kg/m³. Its symmetry is C2/m, No. 12.

=====

# 1
Compound: LaPmTm2
Source: Alexandria
Functional: PBE
Structure: relaxed

Cell lengths 3.613, 3.613, 11.786 Å; angles 81.18, 81.18, 60.00 degrees
Fractional positions:
1 La 0.666 0.666 0.001
2 Pm 0.501 0.501 0.498
3 Tm 0.084 0.084 0.749
4 Tm 0.249 0.249 0.252

Output
As for the volume: 32.78 Å³/atom. For the formation energy from the elements, the calculation gives 0.024 eV/atom. The energy above the most stable polymorph in this dataset is 6 meV per atom. The density of states at the Fermi level is 6.131 states/eV per cell.



# 2
Compound: La8Pm6Tm
Source: Alexandria
Functional: PBE
Structure: relaxed

Cell lengths 8.909, 8.909, 8.909 Å; angles 63.15, 63.15, 63.15 degrees
Fractional positions:
1 La 0.114 0.712 0.753
2 La 0.247 0.886 0.288
3 La 0.288 0.247 0.886
4 La 0.578 0.578 0.578
5 La 0.422 0.422 0.422
6 La 0.712 0.753 0.114
7 La 0.753 0.114 0.712
8 La 0.886 0.288 0.247
9 Pm 0.905 0.459 0.753
10 Pm 0.247 0.095 0.541
11 Pm 0.541 0.247 0.095
12 Pm 0.459 0.753 0.905
13 Pm 0.753 0.905 0.459
14 Pm 0.095 0.541 0.247
15 Tm 0.000 0.000 0.000

Output
As for the volume: 35.65 Å³/atom. For the formation energy from the elements, the calculation gives 0.103 eV/atom. The density of states at the Fermi level is 24.974 states/eV per cell.



# 3
Compound: LaPm8Tm2
Source: Alexandria
Functional: PBE
Structure: relaxed

Cell lengths 5.644, 10.379, 10.379 Å; angles 39.89, 92.99, 92.99 degrees
Fractional positions:
1 La 0.000 0.000 0.000
2 Pm 0.268 0.135 0.595
3 Pm 0.268 0.595 0.135
4 Pm 0.732 0.865 0.405
5 Pm 0.240 0.545 0.545
6 Pm 0.732 0.405 0.865
7 Pm 0.233 0.189 0.189
8 Pm 0.767 0.811 0.811
9 Pm 0.760 0.455 0.455
10 Tm 0.747 0.285 0.285
11 Tm 0.253 0.715 0.715

Output
As for the volume: 35.39 Å³/atom. For the formation energy from the elements, the calculation gives 0.131 eV/atom. The energy above the most stable polymorph in this dataset is 20 meV per atom. The density of states at the Fermi level is 16.571 states/eV per cell.



# 4
Compound: La4PmTm6
Source: Alexandria
Functional: PBE
=====

More information on hearing loss prevention is available at, a web site for musicians. You may also reach Ellen Kelly, M.S. CCC-A in New Jersey at (732) 238-1664 or in New York through the Musicians’ Injury Prevention Program at Mount Sinai/Irving J Selikoff Center for Occupational Medicine at (212) 241-4833. A tutorial on Hearing Loss and Hearing Protection will appear in next month’s Allegro.